Next, say how many lines of the block below hold the word "the", as a bare number.
/*
1.
## LiSm2ZnAg6 (GGA-PBE)

Data for a relaxed structure of LiSm2ZnAg6.

The structure belongs to space group P-1 (No. 2); the cell edges are 4.839, 6.782 and 7.772 Å and the angles 115.83°, 108.09° and 90.11°. The distinct sites, in fractional coordinates, are Li at (0.000, 0.000, 0.000), Sm at (0.157, 0.656, 0.314), Zn at (0.500, 0.500, 0.000), Ag at (0.202, 0.202, 0.404), Ag at (0.378, 0.080, 0.756) and Ag at (0.379, 0.678, 0.757).

***

2.
## ZnAgAs2 (GGA-PBE)

Data for a relaxed structure of ZnAgAs2.

The structure belongs to space group I-42d (No. 122); the cell edges are 4.530, 4.530 and 16.275 Å and the angles 90.00°, 90.00° and 90.00°. The distinct sites, in fractional coordinates, are Zn at (0.000, 0.000, 0.000), Ag at (0.000, 0.000, 0.500) and As at (0.231, 0.250, 0.125).

***

How do the records compare in calculated formation energy? In the order shown, they have -0.17 0.18 eV per atom.
*/
3